-- Material --
Here is a relaxed structure of Li3CrO4 from Alexandria. Energies are from GGA+U.

Calculated values
Total moment: 1.00 μB/f.u.
Energy above the lowest structure with this stoichiometry: 0.0 meV/atom
Total energy: -95.62 eV/cell

Cell: 5.4749 5.0295 6.3802 Å, 90.00 90.09 90.00°
Closest atoms and distances in Å follow each position.
Space group P2_1 (No. 4)
One atom of each set of equivalent atoms:
Li 0.1595 0.9998 0.2508  4 O 2.00-2.02
Li 0.3307 0.4976 0.4947  4 O 1.96-2.03
Li 0.3345 0.5000 0.0003  4 O 1.97-2.01
Cr 0.1710 0.9919 0.7500  4 O 1.73
O 0.1287 0.6014 0.2460  1 Cr 1.73
O 0.1798 0.6483 0.7471  1 Cr 1.73
O 0.3139 0.1029 0.9761  1 Cr 1.73
O 0.3192 0.0968 0.5253  1 Cr 1.73

-- Request --
Next, start at the top of the data above and give back each line, ending with the one that has "0.1595 0.9998".

-- Response --
Here is a relaxed structure of Li3CrO4 from Alexandria. Energies are from GGA+U.

Calculated values
Total moment: 1.00 μB/f.u.
Energy above the lowest structure with this stoichiometry: 0.0 meV/atom
Total energy: -95.62 eV/cell

Cell: 5.4749 5.0295 6.3802 Å, 90.00 90.09 90.00°
Closest atoms and distances in Å follow each position.
Space group P2_1 (No. 4)
One atom of each set of equivalent atoms:
Li 0.1595 0.9998 0.2508  4 O 2.00-2.02